== Job ==
Count the lines further below that contain the word "def2-TZVPD" and give the number alone, please.

== Data ==
No. 1
The following is a DFT calculation (wB97M-V/def2-TZVPD) of a 2-piece molecular cluster, C10H18N5 overall in a non-equilibrium geometry.

Output
HOMO-LUMO gap: 7.6 eV
Net charge: +1
E_HOMO: -12.31 eV
LUMO level: -4.700 eV

```
33
C10H18N5 (wB97M-V/def2-TZVPD)
C 3.4420 0.0455 1.5712
C 2.8384 1.4181 1.5506
N 3.4361 2.3006 2.1943
C 1.5935 1.7508 0.7422
N 0.3105 1.4226 1.3914
N -0.8100 1.5249 0.4488
C 0.3066 0.1411 1.9572
N -0.0114 0.0567 3.2629
N 0.5451 -0.9441 1.2983
H 2.9742 -0.5790 2.3079
H 3.3460 -0.4013 0.5916
H 4.4865 0.1530 1.7836
H 2.9773 3.2077 2.1131
H 1.5885 2.8203 0.6341
H 1.6669 1.3501 -0.2682
H -1.3286 0.6524 0.4125
H -0.4767 1.6883 -0.4980
H -0.4150 0.9589 3.5141
H 0.8027 -0.0541 3.8736
H 0.3742 -0.9808 0.2967
H 0.8396 -1.8073 1.7331
C -2.2651 -0.7308 -3.8665
C -1.3394 -1.6537 -3.4007
C -1.4444 -2.1463 -2.1066
C -2.4813 -1.7213 -1.2842
C -3.4088 -0.7986 -1.7514
C -3.2976 -0.3018 -3.0423
H -2.1843 -0.3471 -4.8747
H -0.5394 -1.9916 -4.0462
H -0.7216 -2.8679 -1.7422
H -2.5690 -2.1128 -0.2764
H -4.2175 -0.4699 -1.1115
H -4.0181 0.4173 -3.4084
```

And the Mulliken charges, in e, turn out to be:
1 C -1.1859
2 C 0.8138
3 N -0.7067
4 C -0.8043
5 N 0.2085
6 N -0.6771
7 C 0.2065
8 N -0.5400
9 N -0.0678
10 H 0.2143
11 H 0.3242
12 H 0.4426
13 H 0.2447
14 H 0.4327
15 H 0.3415
16 H 0.2692
17 H 0.3210
18 H 0.3185
19 H 0.3412
20 H 0.2041
21 H 0.2785
22 C -0.3827
23 C -0.4823
24 C -0.4198
25 C -0.4800
26 C -0.3744
27 C -0.4414
28 H 0.3976
29 H 0.3965
30 H 0.4847
31 H 0.5193
32 H 0.4029
33 H 0.4003


No. 2
The following is a DFT calculation (wB97M-V/def2-TZVPD) of C37H49N2OReS4Si as an isolated structure in a non-equilibrium geometry.

Output
HOMO-LUMO gap (spin up / spin down): 5.7 / 5.8 eV
Net charge: +1
Multiplicity: 4
E_HOMO (spin up / spin down): -9.51 / -10.03 eV
LUMO level (spin up / spin down): -3.813 / -4.257 eV

```
95
C37H49N2OReS4Si (wB97M-V/def2-TZVPD)
Re -0.0180 0.3458 0.0522
S -3.3151 -0.0679 4.7992
C -3.9227 -0.0996 6.3924
C -2.9267 -0.1392 7.3183
C -1.6416 -0.1482 6.7306
C -1.6716 -0.1159 5.3614
C -0.5505 -0.0987 4.4302
C -0.7856 -0.0145 3.0468
N 0.1727 0.0548 2.1354
C 1.4645 -0.0392 2.5570
C 1.8063 -0.1315 3.9118
C 3.1970 -0.2297 4.2498
C 4.1505 -0.2778 3.2936
C 3.8149 -0.2214 1.9006
C 4.7538 -0.2708 0.8660
C 4.3359 -0.2227 -0.4570
C 2.9545 -0.1246 -0.6972
N 2.0461 -0.0173 0.2608
C 2.4652 -0.0858 1.5546
C 5.2730 -0.2383 -1.5727
C 6.6424 -0.2449 -1.5308
C 7.2409 -0.2273 -2.8109
C 6.3230 -0.2048 -3.8139
S 4.7232 -0.2033 -3.2199
C 0.7713 -0.1360 4.8519
H -4.9884 -0.0870 6.5557
H -3.1017 -0.1606 8.3836
H -0.7311 -0.1782 7.3121
H -1.8026 0.0165 2.6786
H 3.4655 -0.2761 5.2975
H 5.1952 -0.3690 3.5626
H 5.8057 -0.3501 1.1067
H 2.5841 -0.1258 -1.7147
H 7.2154 -0.2584 -0.6146
H 8.3081 -0.2292 -2.9756
H 6.4938 -0.1898 -4.8784
H 1.0099 -0.1807 5.9063
C -1.9662 0.2649 -4.2705
C -1.7274 0.2683 -2.7825
S -0.0607 0.4279 -2.2978
C -2.7082 0.1930 -1.8628
C -4.1656 0.0563 -2.1917
S -2.3602 0.2868 -0.1550
H -1.0215 0.3574 -4.8022
H -2.6020 1.1039 -4.5592
H -2.4538 -0.6545 -4.5989
H -4.3402 0.0498 -3.2653
H -4.7340 0.8759 -1.7477
H -4.5586 -0.8723 -1.7718
C -1.2066 3.5232 -1.2880
Si -0.0549 2.9089 0.0966
C -0.8113 3.6357 1.7523
C -1.1087 5.1311 1.5661
C 0.1446 3.4769 2.9425
C -2.1467 2.9684 2.0896
C 1.7022 3.6493 -0.3533
C 1.6419 5.1830 -0.4086
C 2.7959 3.2571 0.6462
C 2.0967 3.1643 -1.7533
H -1.2762 4.6133 -1.2924
H -2.2157 3.1268 -1.1590
H -0.8497 3.2050 -2.2668
H -0.2231 5.7013 1.2955
H -1.4905 5.5404 2.5073
H -1.8690 5.2918 0.8005
H 1.0020 4.1439 2.8519
H 0.5218 2.4565 3.0377
H -0.3719 3.7277 3.8755
H -2.8637 3.0746 1.2743
H -2.5740 3.4396 2.9813
H -2.0369 1.9072 2.2982
H 1.5832 5.6193 0.5879
H 0.7981 5.5424 -0.9994
H 2.5577 5.5633 -0.8737
H 2.5954 3.6555 1.6401
H 3.7611 3.6588 0.3184
H 2.9029 2.1756 0.7356
H 1.4502 3.6026 -2.5154
H 2.0329 2.0819 -1.8515
H 3.1276 3.4628 -1.9715
C 0.3075 -3.3584 2.0691
C -0.8500 -2.9438 1.1767
O -0.3724 -2.3798 -0.0419
C -0.7849 -3.0588 -1.2342
C 0.3889 -3.2981 -2.1646

== Worked solution ==
4